In the past week I’ve spoken personally with at least five men — good men who work hard — about their jobs. That doesn’t seem like a lot, given that many more than a handful of conversations take place in a given week. Yet, as the lead pastor of a church plant with about twenty-five adults these days, sitting down to talk with just about half the men in a congregation is significant.
These men have confided in me many of their hopes, dreams, fears, longings, frustrations, and prayers about what it means personally for them to be men at work. Some are at a crossroads in their career path, while others are seeking additional schooling and training to go further in their career or launch into a new field. While each situation is unique, there are some common threads:
- Men wonder if their work matters;
- they wonder if they’re in the “right” job, working for the best company or for the best cause;
- they feel unsupported and lack the tools to get all the work that’s expected of them;
- they find that few of their “higher-ups” adequately model a work-life balance they want to emulate, so if one wants to advance it’s implied families are sacrificed on the altar of the company;
- some men feel more confident and “appreciated” at work, so they might linger there rather than hurry home to do things they don’t know how to do (like be a present father);
- they feel guilty for working long hours (especially as overtime-exempt salaried workers);
- they don’t see their workplace as a “mission field” very often, and when they do there’s a lack of confidence and drive to act like a “missionary” in the workplace; and
[What comes next are crystal structures, not part of the article]
********
Record 1
TlInTe2: computed PXRD pattern (CuKα), based on a PBE-relaxed structure.
Kinematic intensities with the Lorentz-polarization factor, no thermal factor.

Crystal structure
a = 8.6985 Å, b = 8.6985 Å, c = 7.3317 Å
α = 90.00°, β = 90.00°, γ = 90.00°
Space group I4/mcm (No. 140)
Asymmetric unit:
1 Tl 0.0000 0.0000 0.2500 [4 per cell]
2 In 0.0000 0.5000 0.2500 [4 per cell]
3 Te 0.1791 0.3209 0.0000 [8 per cell]

Principal peaks in the range 15 to 90 degrees two-theta, by angle:
20.42 deg, I = 170, hkl 2 0 0
25.93 deg, I = 467, hkl 2 1 1
29.03 deg, I = 493, hkl 2 2 0
31.93 deg, I = 1000, hkl 2 0 2
32.55 deg, I = 147, hkl 3 1 0
44.70 deg, I = 168, hkl 4 1 1
46.70 deg, I = 190, hkl 4 2 0
48.68 deg, I = 187, hkl 4 0 2
53.32 deg, I = 175, hkl 4 2 2
73.55 deg, I = 167, hkl 6 2 2

Record 2
ThIn3: computed PXRD pattern (CuKα), based on a PBE-relaxed structure.
Kinematic intensities with the Lorentz-polarization factor, no thermal factor.

Crystal structure
a = 4.7499 Å, b = 4.7499 Å, c = 4.7499 Å
α = 90.00°, β = 90.00°, γ = 90.00°
Space group Pm-3m (No. 221)
Asymmetric unit:
1 Th 0.0000 0.0000 0.0000 [1 per cell]
2 In 0.0000 0.5000 0.5000 [3 per cell]

Principal peaks in the range 15 to 90 degrees two-theta, by angle:
18.68 deg, I = 94, hkl 1 0 0
26.54 deg, I = 84, hkl 1 1 0
32.65 deg, I = 1000, hkl 1 1 1
37.88 deg, I = 502, hkl 2 0 0
42.56 deg, I = 51, hkl 2 1 0
46.85 deg, I = 40, hkl 2 1 1
54.65 deg, I = 344, hkl 2 2 0
65.13 deg, I = 403, hkl 3 1 1
68.42 deg, I = 116, hkl 2 2 2
80.96 deg, I = 55, hkl 4 0 0

Repeat the first record exactly.
TlInTe2: computed PXRD pattern (CuKα), based on a PBE-relaxed structure.
Kinematic intensities with the Lorentz-polarization factor, no thermal factor.

Crystal structure
a = 8.6985 Å, b = 8.6985 Å, c = 7.3317 Å
α = 90.00°, β = 90.00°, γ = 90.00°
Space group I4/mcm (No. 140)
Asymmetric unit:
1 Tl 0.0000 0.0000 0.2500 [4 per cell]
2 In 0.0000 0.5000 0.2500 [4 per cell]
3 Te 0.1791 0.3209 0.0000 [8 per cell]

Principal peaks in the range 15 to 90 degrees two-theta, by angle:
20.42 deg, I = 170, hkl 2 0 0
25.93 deg, I = 467, hkl 2 1 1
29.03 deg, I = 493, hkl 2 2 0
31.93 deg, I = 1000, hkl 2 0 2
32.55 deg, I = 147, hkl 3 1 0
44.70 deg, I = 168, hkl 4 1 1
46.70 deg, I = 190, hkl 4 2 0
48.68 deg, I = 187, hkl 4 0 2
53.32 deg, I = 175, hkl 4 2 2
73.55 deg, I = 167, hkl 6 2 2
********
- they wrestle with whether their job does more than merely provide for the material needs of their families.
Someone pasted crystal structures at this point
# 1
The following is a theoretical X-ray powder pattern of SrNi3Se4O12. It was derived from a PBE+U-relaxed structure, using λ = 1.5418 Å (Cu Kα).
Lines closer than 0.1° are merged.

Principal peaks in the range 2θ from 10° to 80°, sorted by position:
| Position (°2θ) | d (Å) | intensity |
| --- | --- | --- |
| 27.0 | 3.306 | 37 |
| 27.7 | 3.223 | 13 |
| 29.5 | 3.026 | 100 |
| 32.1 | 2.791 | 32 |
| 35.4 | 2.535 | 25 |
| 38.4 | 2.347 | 13 |
| 47.2 | 1.926 | 12 |
| 50.7 | 1.800 | 20 |
| 52.9 | 1.731 | 15 |
| 54.1 | 1.695 | 15 |
| 56.3 | 1.635 | 14 |
| 59.7 | 1.548 | 20 |

a b c (Å): 6.9454 6.9454 6.9454
angles (deg): 106.97 106.97 106.97
Fractional coordinates of all 20 atoms:
Sr: 0.0000 0.0000 0.0000
Ni: 0.0000 0.5652 0.4348
Ni: 0.4348 0.0000 0.5652
Ni: 0.5652 0.4348 0.0000
Se: 0.0575 0.5000 0.9425
Se: 0.5000 0.5000 0.5000
Se: 0.5000 0.9425 0.0575
Se: 0.9425 0.0575 0.5000
O: 0.0491 0.6512 0.7672
O: 0.1060 0.8940 0.5000
O: 0.2328 0.3488 0.9509
O: 0.3348 0.6652 0.5000
O: 0.3488 0.9509 0.2328
O: 0.5000 0.1060 0.8940
O: 0.5000 0.3348 0.6652
O: 0.6512 0.7672 0.0491
O: 0.6652 0.5000 0.3348
O: 0.7672 0.0491 0.6512
O: 0.8940 0.5000 0.1060
O: 0.9509 0.2328 0.3488

***

# 2
The following is a theoretical X-ray powder pattern of Sr2NiSe3O9. It was derived from a PBE+U-relaxed structure, using λ = 1.5418 Å (Cu Kα).
Lines closer than 0.1° are merged.

Principal peaks in the range 2θ from 10° to 80°, sorted by position:
| Position (°2θ) | d (Å) | intensity |
| --- | --- | --- |
| 26.4 | 3.374 | 95 |
| 27.1 | 3.290 | 21 |
| 27.4 | 3.256 | 19 |
| 27.7 | 3.222 | 23 |
| 28.5 | 3.134 | 34 |
| 28.9 | 3.087 | 62 |
| 29.9 | 2.989 | 100 |
| 30.3 | 2.948 | 25 |
| 31.1 | 2.873 | 32 |
| 31.7 | 2.822 | 36 |
| 32.0 | 2.801 | 21 |
| 39.6 | 2.278 | 19 |

a b c (Å): 7.4404 7.7299 8.8370
angles (deg): 103.11 105.44 95.37
Fractional coordinates of all 30 atoms:
Sr: 0.1276 0.4820 0.3065
Sr: 0.2516 0.9112 0.1116
Sr: 0.7484 0.0888 0.8884
Sr: 0.8724 0.5180 0.6935
Ni: 0.4073 0.6651 0.7487
Ni: 0.5927 0.3349 0.2513
Se: 0.1413 0.9152 0.7063
Se: 0.2657 0.3636 0.9123
Se: 0.4065 0.2139 0.5450
Se: 0.5935 0.7861 0.4550
Se: 0.7343 0.6364 0.0877
Se: 0.8587 0.0848 0.2937
O: 0.0080 0.1224 0.1805
O: 0.0249 0.2994 0.8520
O: 0.1365 0.6955 0.5993
O: 0.2748 0.5913 0.9123
O: 0.3247 0.3601 0.1148
O: 0.3369 0.4238 0.5735
O: 0.3587 0.9420 0.8522
O: 0.3685 0.7495 0.3275
O: 0.4358 0.1851 0.3544
O: 0.5642 0.8149 0.6456
O: 0.6315 0.2505 0.6725
O: 0.6413 0.0580 0.1478
O: 0.6631 0.5762 0.4265
O: 0.6753 0.6399 0.8852
O: 0.7252 0.4087 0.0877
O: 0.8635 0.3045 0.4007
O: 0.9751 0.7006 0.1480
O: 0.9920 0.8776 0.8195

***

# 3
The following is a theoretical X-ray powder pattern of TlNiSe2O8. It was derived from a PBE+U-relaxed structure, using λ = 1.5418 Å (Cu Kα).
Lines closer than 0.1° are merged.

Principal peaks in the range 2θ from 10° to 80°, sorted by position:
| Position (°2θ) | d (Å) | intensity |
| --- | --- | --- |
| 20.8 | 4.263 | 14 |
| 25.3 | 3.518 | 100 |
| 27.7 | 3.223 | 12 |
| 35.9 | 2.501 | 37 |
End of the crystal structures
What surprises to me is that these men would look to their pastor for wisdom and encouragement. That shouldn’t surprise me, except for two observations:
Pastors are not known for their hard working ways. (There are many lazy pastors.)
- Pastors tend to be aloof, and don’t often show they care about supporting men in their work. (In the U.S., we pastors tend to lead people in such a way that they think that the work of a pastor is more important than the “secular” job others have. We can teach people Romans 12:3, but can we live it? Several men tell me that only recently did they feel that a pastor wanted more for them than from them.)
(Side note to pastors: Do we communicate to people that their “job” is to come support us in the good work we are doing for God? We might want to rethink that in light of the Gospel. And Common Grace.)
Of course, I write this as a pastor, realizing recently that over the last decade slightly more than half of my career has been invested as a full-time (and paid) pastor, and the other half was in construction management. While much of that time paid for seminary, it was in many ways more valuable than seminary in preparing me for what people face day in and day out. In other words, my own circuitous route to being a pastor was the best thing possible for actually being a pastor.
In the coming few weeks I’d like to post some quotes and thoughts on what it means to think deeply about our work. While I won’t attempt to tie together all possible lose ends, I hope the observations, principles, and questions inspire each of us to find meaning in our week, because we serve Jesus in our jobs as we contribute to the greater good in a broken and hurting world.
“Whatever you do, work at it with all your heart.”
—Colossians 3:23
Image credit: Théolego on Flickr
Let the word of Christ dwell in you richly in all wisdom, teaching and admonishing one another in psalms and hymns and spiritual songs, singing with grace in your hearts to the Lord, And what ever you do in word or deed do all in the naem of the Lord Jesus giving thanks to God the Father through Him. (Focus on God, and God will lead you!)